Contents:
~~~
Entry from Materials Project: a relaxed structure of UTa2O7 (PBE).

Calculated values
As for the electronic total energy: -0.7273 Ry per atom. As for the calculated formation energy: -3.41 eV/atom.

a b c (Å): 7.373 7.488 10.551
angles (deg): 90.00 90.00 90.00
Space group Imma (No. 74)
Unique sites:
U 0.000 0.000 0.000 x4
Ta 0.000 0.000 0.500 x4
Ta 0.250 0.250 0.250 x4
O 0.000 0.250 0.179 x4
O 0.000 0.250 0.555 x4
O 0.000 0.250 0.913 x4
O 0.204 0.063 0.380 x16

Entry from Materials Project: a relaxed structure of Y7Ta3O18 (PBE).

Calculated values
As for the electronic total energy: -0.6913 Ry per atom. As for the calculated formation energy: -3.78 eV/atom.

a b c (Å): 6.435 6.449 18.824
angles (deg): 89.76 89.93 70.32
Space group P-1 (No. 2)
Unique sites:
Y 0.000 0.000 0.000 x1
Y 0.000 0.500 0.500 x1
Y 0.001 0.003 0.394 x2
Y 0.001 0.003 0.802 x2
Y 0.031 0.502 0.301 x2
Y 0.036 0.502 0.900 x2
Y 0.498 0.963 0.100 x2
Y 0.498 0.971 0.700 x2
Ta 0.497 0.498 0.411 x2
Ta 0.499 0.498 0.204 x2
Ta 0.500 0.000 0.500 x1
Ta 0.500 0.500 0.000 x1
O 0.127 0.129 0.099 x2
O 0.130 0.130 0.705 x2
O 0.137 0.137 0.301 x2
O 0.138 0.139 0.899 x2
O 0.153 0.615 0.405 x2
O 0.170 0.112 0.492 x2
O 0.177 0.565 0.190 x2
O 0.177 0.572 0.013 x2
O 0.178 0.575 0.786 x2
O 0.178 0.590 0.606 x2
O 0.407 0.367 0.500 x2
O 0.409 0.861 0.593 x2
O 0.421 0.823 0.212 x2
O 0.427 0.823 0.987 x2
O 0.433 0.822 0.812 x2
O 0.436 0.438 0.899 x2
O 0.437 0.823 0.394 x2
O 0.445 0.439 0.306 x2

Entry from Materials Project: a relaxed structure of Y3TaO7 (PBE).

Calculated values
As for the electronic total energy: -0.6899 Ry per atom. For the energy relative to the lowest polymorph listed for this composition, the calculation gives 6 meV/atom. As for the calculated formation energy: -3.83 eV/atom.

a b c (Å): 7.466 10.578 7.538
angles (deg): 90.00 90.00 90.00
Space group Cmcm (No. 63)
Unique sites:
Y 0.000 0.000 0.000 x4
Y 0.233 0.267 0.250 x8
Ta 0.000 0.500 0.000 x4
O 0.000 0.129 0.750 x4
O 0.000 0.138 0.250 x4
O 0.000 0.436 0.250 x4
O 0.197 0.375 0.531 x16

Entry from Materials Project: a relaxed structure of Y3TaO7 (PBE).

Calculated values
As for the electronic total energy: -0.6711 Ry per atom. For the energy relative to the lowest polymorph listed for this composition, the calculation gives 261 meV/atom. As for the calculated formation energy: -3.58 eV/atom.

a b c (Å): 7.478 14.521 5.375
angles (deg): 90.00 90.00 90.00
Space group Cmme (No. 67)
Unique sites:
Y 0.000 0.119 0.028 x8
Y 0.250 0.250 0.500 x4
Ta 0.250 0.000 0.500 x4
O 0.000 0.012 0.288 x8
O 0.000 0.250 0.257 x4
O 0.219 0.119 0.736 x16

Entry from Materials Project: a relaxed structure of Y11Ta5O28 (PBE).

Calculated values
As for the electronic total energy: -0.6925 Ry per atom. For the energy relative to the lowest polymorph listed for this composition, the calculation gives 1 meV/atom. As for the calculated formation energy: -3.75 eV/atom.

a b c (Å): 7.467 7.452 10.535
angles (deg): 90.00 90.44 90.00
Space group Pm (No. 6)
Unique sites:
Y 0.000 0.000 0.000 x1
Y 0.003 0.500 0.517 x1
Y 0.029 0.000 0.497 x1
Y 0.032 0.500 0.032 x1
Y 0.243 0.257 0.766 x2
Y 0.498 0.500 0.030 x1
Y 0.516 0.000 0.005 x1
Y 0.528 0.500 0.518 x1
Y 0.769 0.252 0.259 x2
Ta 0.260 0.225 0.249 x2
Ta 0.495 0.000 0.489 x1
Ta 0.763 0.249 0.759 x2
O 0.049 0.231 0.134 x2
O 0.058 0.269 0.379 x2
O 0.259 0.000 0.883 x1
O 0.263 0.500 0.897 x1
O 0.266 0.500 0.193 x1
O 0.272 0.500 0.628 x1
O 0.275 0.000 0.358 x1
O 0.292 0.000 0.609 x1
O 0.463 0.253 0.398 x2
O 0.479 0.233 0.141 x2
O 0.563 0.281 0.876 x2
O 0.601 0.183 0.618 x2
O 0.741 0.000 0.401 x1
O 0.748 0.500 0.686 x1
O 0.760 0.500 0.394 x1
O 0.763 0.000 0.126 x1
O 0.765 0.500 0.129 x1
O 0.773 0.000 0.827 x1
O 0.962 0.285 0.882 x2
O 0.980 0.225 0.640 x2

Entry from Materials Project: a relaxed structure of Y3TaO7 (PBE).

Calculated values
~~~

To do:
Next, restate only the last part of the block further up, starting with the line that has "0.000 0.138".

Outcome:
O 0.000 0.138 0.250 x4
O 0.000 0.436 0.250 x4
O 0.197 0.375 0.531 x16

Entry from Materials Project: a relaxed structure of Y3TaO7 (PBE).

Calculated values
As for the electronic total energy: -0.6711 Ry per atom. For the energy relative to the lowest polymorph listed for this composition, the calculation gives 261 meV/atom. As for the calculated formation energy: -3.58 eV/atom.

a b c (Å): 7.478 14.521 5.375
angles (deg): 90.00 90.00 90.00
Space group Cmme (No. 67)
Unique sites:
Y 0.000 0.119 0.028 x8
Y 0.250 0.250 0.500 x4
Ta 0.250 0.000 0.500 x4
O 0.000 0.012 0.288 x8
O 0.000 0.250 0.257 x4
O 0.219 0.119 0.736 x16

Entry from Materials Project: a relaxed structure of Y11Ta5O28 (PBE).

Calculated values
As for the electronic total energy: -0.6925 Ry per atom. For the energy relative to the lowest polymorph listed for this composition, the calculation gives 1 meV/atom. As for the calculated formation energy: -3.75 eV/atom.

a b c (Å): 7.467 7.452 10.535
angles (deg): 90.00 90.44 90.00
Space group Pm (No. 6)
Unique sites:
Y 0.000 0.000 0.000 x1
Y 0.003 0.500 0.517 x1
Y 0.029 0.000 0.497 x1
Y 0.032 0.500 0.032 x1
Y 0.243 0.257 0.766 x2
Y 0.498 0.500 0.030 x1
Y 0.516 0.000 0.005 x1
Y 0.528 0.500 0.518 x1
Y 0.769 0.252 0.259 x2
Ta 0.260 0.225 0.249 x2
Ta 0.495 0.000 0.489 x1
Ta 0.763 0.249 0.759 x2
O 0.049 0.231 0.134 x2
O 0.058 0.269 0.379 x2
O 0.259 0.000 0.883 x1
O 0.263 0.500 0.897 x1
O 0.266 0.500 0.193 x1
O 0.272 0.500 0.628 x1
O 0.275 0.000 0.358 x1
O 0.292 0.000 0.609 x1
O 0.463 0.253 0.398 x2
O 0.479 0.233 0.141 x2
O 0.563 0.281 0.876 x2
O 0.601 0.183 0.618 x2
O 0.741 0.000 0.401 x1
O 0.748 0.500 0.686 x1
O 0.760 0.500 0.394 x1
O 0.763 0.000 0.126 x1
O 0.765 0.500 0.129 x1
O 0.773 0.000 0.827 x1
O 0.962 0.285 0.882 x2
O 0.980 0.225 0.640 x2

Entry from Materials Project: a relaxed structure of Y3TaO7 (PBE).

Calculated values